Brief:
It remains to write out all of the data further down with every line break kept.
Given:
<<<
[1]
First-principles (PBE) data for an optimized crystal structure of Mg2WCl, as listed in the Alexandria database.

Cell: 3.014 2.957 8.366 Å, 90.00 90.44 90.00°
Element x y z (fractional)
Mg 0.008 0.000 0.245
Mg 0.992 0.000 0.755
W 0.500 0.500 0.000
Cl 0.000 0.500 0.500

Summary:
- M_tot: 0.00 μB/f.u.
- E_tot: -18.589 eV per cell
- Calculated volume: 75 Å³ per cell
- Energy relative to the elements, uncorrected: -0.60 eV per formula unit

[2]
First-principles (PBE) data for an optimized crystal structure of MgWCl, as listed in the Alexandria database.

Cell: 6.526 6.526 6.526 Å, 153.71 153.71 37.53°
Element x y z (fractional)
Mg 0.000 0.000 0.000
W 0.655 0.655 0.000
Cl 0.294 0.294 0.000

Summary:
- M_tot: 0.00 μB/f.u.
- E_tot: -15.099 eV per cell
- Calculated volume: 54 Å³ per cell
- Energy relative to the elements, uncorrected: 1.30 eV per formula unit

[3]
First-principles (PBE) data for an optimized crystal structure of Mg2WCl, as listed in the Alexandria database.

Cell: 5.508 5.508 5.168 Å, 117.56 117.56 31.51°
Element x y z (fractional)
Mg 0.230 0.230 0.231
Mg 0.770 0.770 0.769
W 0.000 0.000 0.500
Cl 0.500 0.500 0.000

Summary:
- M_tot: 0.00 μB/f.u.
- E_tot: -15.758 eV per cell
- Calculated volume: 72 Å³ per cell
- Energy relative to the elements, uncorrected: 2.23 eV per formula unit

~~~~~

Entry 1:
4
Lattice="4.4113 0.0046 -0.0004 -2.2003 3.8233 0.0004 -2.1959 -1.2841 7.8706" Properties=species:S:1:pos:R:3 comment="GGA-PBE CaDyBi2, relaxed" total_magnetization_mub_per_cell=0.00 dos_ef_per_ev_cell=2.0 energy_ev_per_atom=-4.327 de_polymorph_mev_per_atom=0.0 pbc="T T T"
Ca -2.1982 1.2696 3.9358
Dy 0.0151 2.5437 7.8702
Bi 0.0092 -0.0053 5.9845
Bi 0.0057 2.5491 1.8862


Entry 2:
10
Lattice="-1.6806 -5.6035 5.6693 -4.2040 -6.6854 -1.9972 4.0025 -7.3987 -0.2716" Properties=species:S:1:pos:R:3 comment="GGA-PBE KSr2TlBr6, relaxed" total_magnetization_mub_per_cell=0.00 dos_ef_per_ev_cell=0.0 energy_ev_per_atom=-3.480 raw_formation_energy_mev_per_atom=-1793.5 pbc="T T T"
K -1.4345 -4.3872 1.0922
Sr -1.1976 -9.7019 1.7647
Sr 3.7518 -7.2604 -0.2087
Tl -2.3886 -14.2247 2.7951
Br -1.1260 -6.9727 3.1461
Br -3.1295 -8.9446 -0.4842
Br -3.2521 -11.0192 3.6105
Br -0.7691 -12.4582 0.4365
Br 1.0596 -10.6165 3.6661
Br 1.1278 -8.8062 -0.0623


Entry 3:
12
Lattice="-5.6821 4.9801 1.1847 -4.9173 -5.8020 0.8052 6.7226 0.2474 6.5168" Properties=species:S:1:pos:R:3 comment="GGA-PBE Tb8Ho3Tm, relaxed" total_magnetization_mub_per_cell=0.00 dos_ef_per_ev_cell=13.9 energy_ev_per_atom=-3.883 pbc="T T T"
Tb -5.1362 2.2476 2.9637
Tb -2.2912 -0.2459 2.3706
Tb 3.7215 0.0830 5.1398
Tb 0.8765 2.5766 5.7330
Tb -4.7533 -3.1509 2.7737
Tb -7.5983 -0.6574 3.3669
Tb -1.5856 -0.3284 6.1361
Tb 1.2594 -2.8220 5.5430
Ho -1.7472 -2.9827 4.1585
Ho -5.2997 -0.4109 0.9949
Ho -2.1296 2.4083 4.3482
Tm 0.0000 0.0000 0.0000


Entry 4:
4
Lattice="-1.4871 -2.2199 2.8665 0.6703 -2.3010 -1.4342 4.9182 -1.2506 1.5830" Properties=species:S:1:pos:R:3 comment="GGA-PBE SiIrOs2, relaxed" total_magnetization_mub_per_cell=0.00 dos_ef_per_ev_cell=1.9 energy_ev_per_atom=-9.277 raw_formation_energy_mev_per_atom=-91.1 pbc="T T T"
Ir 3.2240 -3.6255 1.5434
Os 0.1041 -0.1453 -0.0585
Os 0.7273 -2.4274 1.1761
Si 2.8403 -1.3491 0.4287
>>>
Result:
[1]
First-principles (PBE) data for an optimized crystal structure of Mg2WCl, as listed in the Alexandria database.

Cell: 3.014 2.957 8.366 Å, 90.00 90.44 90.00°
Element x y z (fractional)
Mg 0.008 0.000 0.245
Mg 0.992 0.000 0.755
W 0.500 0.500 0.000
Cl 0.000 0.500 0.500

Summary:
- M_tot: 0.00 μB/f.u.
- E_tot: -18.589 eV per cell
- Calculated volume: 75 Å³ per cell
- Energy relative to the elements, uncorrected: -0.60 eV per formula unit

[2]
First-principles (PBE) data for an optimized crystal structure of MgWCl, as listed in the Alexandria database.

Cell: 6.526 6.526 6.526 Å, 153.71 153.71 37.53°
Element x y z (fractional)
Mg 0.000 0.000 0.000
W 0.655 0.655 0.000
Cl 0.294 0.294 0.000

Summary:
- M_tot: 0.00 μB/f.u.
- E_tot: -15.099 eV per cell
- Calculated volume: 54 Å³ per cell
- Energy relative to the elements, uncorrected: 1.30 eV per formula unit

[3]
First-principles (PBE) data for an optimized crystal structure of Mg2WCl, as listed in the Alexandria database.

Cell: 5.508 5.508 5.168 Å, 117.56 117.56 31.51°
Element x y z (fractional)
Mg 0.230 0.230 0.231
Mg 0.770 0.770 0.769
W 0.000 0.000 0.500
Cl 0.500 0.500 0.000

Summary:
- M_tot: 0.00 μB/f.u.
- E_tot: -15.758 eV per cell
- Calculated volume: 72 Å³ per cell
- Energy relative to the elements, uncorrected: 2.23 eV per formula unit

~~~~~

Entry 1:
4
Lattice="4.4113 0.0046 -0.0004 -2.2003 3.8233 0.0004 -2.1959 -1.2841 7.8706" Properties=species:S:1:pos:R:3 comment="GGA-PBE CaDyBi2, relaxed" total_magnetization_mub_per_cell=0.00 dos_ef_per_ev_cell=2.0 energy_ev_per_atom=-4.327 de_polymorph_mev_per_atom=0.0 pbc="T T T"
Ca -2.1982 1.2696 3.9358
Dy 0.0151 2.5437 7.8702
Bi 0.0092 -0.0053 5.9845
Bi 0.0057 2.5491 1.8862


Entry 2:
10
Lattice="-1.6806 -5.6035 5.6693 -4.2040 -6.6854 -1.9972 4.0025 -7.3987 -0.2716" Properties=species:S:1:pos:R:3 comment="GGA-PBE KSr2TlBr6, relaxed" total_magnetization_mub_per_cell=0.00 dos_ef_per_ev_cell=0.0 energy_ev_per_atom=-3.480 raw_formation_energy_mev_per_atom=-1793.5 pbc="T T T"
K -1.4345 -4.3872 1.0922
Sr -1.1976 -9.7019 1.7647
Sr 3.7518 -7.2604 -0.2087
Tl -2.3886 -14.2247 2.7951
Br -1.1260 -6.9727 3.1461
Br -3.1295 -8.9446 -0.4842
Br -3.2521 -11.0192 3.6105
Br -0.7691 -12.4582 0.4365
Br 1.0596 -10.6165 3.6661
Br 1.1278 -8.8062 -0.0623


Entry 3:
12
Lattice="-5.6821 4.9801 1.1847 -4.9173 -5.8020 0.8052 6.7226 0.2474 6.5168" Properties=species:S:1:pos:R:3 comment="GGA-PBE Tb8Ho3Tm, relaxed" total_magnetization_mub_per_cell=0.00 dos_ef_per_ev_cell=13.9 energy_ev_per_atom=-3.883 pbc="T T T"
Tb -5.1362 2.2476 2.9637
Tb -2.2912 -0.2459 2.3706
Tb 3.7215 0.0830 5.1398
Tb 0.8765 2.5766 5.7330
Tb -4.7533 -3.1509 2.7737
Tb -7.5983 -0.6574 3.3669
Tb -1.5856 -0.3284 6.1361
Tb 1.2594 -2.8220 5.5430
Ho -1.7472 -2.9827 4.1585
Ho -5.2997 -0.4109 0.9949
Ho -2.1296 2.4083 4.3482
Tm 0.0000 0.0000 0.0000


Entry 4:
4
Lattice="-1.4871 -2.2199 2.8665 0.6703 -2.3010 -1.4342 4.9182 -1.2506 1.5830" Properties=species:S:1:pos:R:3 comment="GGA-PBE SiIrOs2, relaxed" total_magnetization_mub_per_cell=0.00 dos_ef_per_ev_cell=1.9 energy_ev_per_atom=-9.277 raw_formation_energy_mev_per_atom=-91.1 pbc="T T T"
Ir 3.2240 -3.6255 1.5434
Os 0.1041 -0.1453 -0.0585
Os 0.7273 -2.4274 1.1761
Si 2.8403 -1.3491 0.4287